[File]
........
Structure and computed XRD peak list of CsCu12As4 (a GGA-PBE-relaxed structure; Cu Kα (λ = 1.5418 Å)).
Kinematic intensities with the Lorentz-polarization factor, no thermal factor.

Largest 12 diffraction maxima, by intensity, 2θ from 15° to 90°:
Position (°2θ), I_rel
44.76, 100
25.40, 80
52.16, 37
82.52, 25
47.33, 23
29.41, 20
69.17, 11
76.89, 9
63.11, 7
71.13, 6
58.89, 5
49.79, 5

Atomic structure:
a = 7.4393 Å, b = 7.4393 Å, c = 7.4393 Å
α = 109.47°, β = 109.47°, γ = 109.47°
Fractional positions:
Cs 0.0000 0.0000 0.0000
Cu 0.0000 0.3479 0.6521
Cu 0.0000 0.6521 0.3479
Cu 0.3043 0.6521 0.6521
Cu 0.3479 0.0000 0.6521
Cu 0.3479 0.3479 0.6957
Cu 0.3479 0.6521 0.0000
Cu 0.3479 0.6957 0.3479
Cu 0.6521 0.0000 0.3479
Cu 0.6521 0.3043 0.6521
Cu 0.6521 0.3479 0.0000
Cu 0.6521 0.6521 0.3043
Cu 0.6957 0.3479 0.3479
As 0.0000 0.0000 0.5000
As 0.0000 0.5000 0.0000
As 0.5000 0.0000 0.0000
As 0.5000 0.5000 0.5000


Structure and computed XRD peak list of CsGaCuAs2 (a GGA-PBE-relaxed structure; Cu Kα (λ = 1.5418 Å)).
Kinematic intensities with the Lorentz-polarization factor, no thermal factor.

Largest 12 diffraction maxima, by intensity, 2θ from 15° to 90°:
Position (°2θ), I_rel
28.51, 100
25.68, 35
30.51, 30
47.07, 25
37.46, 22
41.38, 18
52.15, 17
48.40, 15
62.20, 14
32.50, 13
51.06, 12
52.78, 11

Atomic structure:
a = 7.0979 Å, b = 7.0979 Å, c = 6.6528 Å
α = 90.00°, β = 90.00°, γ = 121.49°
Fractional positions:
Cs 0.2500 0.7500 0.7649
Cs 0.7500 0.2500 0.2351
Ga 0.2500 0.2500 0.5000
Ga 0.7500 0.7500 0.5000
Cu 0.0000 0.0000 0.0000
Cu 0.5000 0.5000 0.0000
As 0.0993 0.9007 0.2962
As 0.4007 0.5993 0.2962
As 0.5993 0.4007 0.7038
As 0.9007 0.0993 0.7038


Structure and computed XRD peak list of CsMnCuAs2 (a GGA-PBE-relaxed structure; Cu Kα (λ = 1.5418 Å)).
Kinematic intensities with the Lorentz-polarization factor, no thermal factor.

Largest 12 diffraction maxima, by intensity, 2θ from 15° to 90°:
Position (°2θ), I_rel
28.09, 100
32.28, 21
46.89, 20
33.45, 20
45.70, 18
42.84, 15
55.04, 15
57.12, 12
36.22, 11
58.08, 11
22.40, 11
60.22, 10

Atomic structure:
a = 8.4076 Å, b = 8.4076 Å, c = 5.6917 Å
α = 90.00°, β = 90.00°, γ = 141.48°
Fractional positions:
Cs 0.2500 0.7500 0.7712
Cs 0.7500 0.2500 0.2288
Mn 0.2500 0.2500 0.5000
Mn 0.7500 0.7500 0.5000
Cu 0.0000 0.0000 0.0000
Cu 0.5000 0.5000 0.0000
As 0.0997 0.9003 0.3052
As 0.4003 0.5997 0.3052
As 0.5997 0.4003 0.6948
As 0.9003 0.0997 0.6948

~~~~~

(1)
Structure and calculated XRD peak list of MgMn4Cr2O12 (the GGA+U geometry in the Materials Project; λ = 1.5418 Å (Cu Kα)).
Kinematic intensities with the Lorentz-polarization factor, no thermal factor.

Peak list (10 most intense, 2θ = 10–90°, by angle)
hkl	d [Å]	2theta	I/Imax
0 0 2	5.072	17.49	100
3 1 -1	2.480	36.22	11
3 1 1	2.470	36.37	17
0 2 2	2.273	39.65	18
3 1 -3	2.046	44.28	16
3 1 3	2.029	44.67	13
0 2 4	1.796	50.84	12
3 1 5	1.582	58.34	9
3 3 -1	1.456	63.94	8
3 3 1	1.454	64.04	7

```
data_MgMn4Cr2O12
_chemical_formula_sum 'Mg2 Mn8 Cr4 O24'
_cell_length_a 8.8526
_cell_length_b 5.0868
_cell_length_c 10.1443
_cell_angle_alpha 90.00
_cell_angle_beta 90.57
_cell_angle_gamma 90.00
_symmetry_space_group_name_H-M 'C 1 2 1'
_symmetry_Int_Tables_number 5
loop_
_symmetry_equiv_pos_as_xyz
'x,y,z'
'-x,y,-z'
'x+1/2,y+1/2,z'
'-x+1/2,y+1/2,-z'
loop_
_atom_site_label
_atom_site_type_symbol
_atom_site_fract_x
_atom_site_fract_y
_atom_site_fract_z
_atom_site_occupancy
Mg1 Mg 0.0000 0.0000 0.0000 1
Mn1 Mn 0.0840 0.4152 0.2508 1
Mn2 Mn 0.0858 0.9132 0.7369 1
Cr1 Cr 0.2501 0.4166 0.7477 1
O1 O 0.0731 0.7597 0.1501 1
O2 O 0.0773 0.5803 0.6525 1
O3 O 0.0780 0.2319 0.8504 1
O4 O 0.0819 0.0915 0.3483 1
O5 O 0.2469 0.5758 0.3480 1
O6 O 0.2504 0.2597 0.1540 1
```

(2)
Structure and calculated XRD peak list of MgMn5CrP6O24 (the GGA+U geometry in the Materials Project; λ = 1.5418 Å (Cu Kα)).
Kinematic intensities with the Lorentz-polarization factor, no thermal factor.

Peak list (10 most intense, 2θ = 10–90°, by angle)
hkl	d [Å]	2theta	I/Imax
0 1 1	4.398	20.19	85
........
[Wanted]
Your job: reproduce the part of the entries above that starts with the line with "42.84, 15" and stops after the one with "MgMn5CrP6O24 (the".
[Worked solution]
42.84, 15
55.04, 15
57.12, 12
36.22, 11
58.08, 11
22.40, 11
60.22, 10

Atomic structure:
a = 8.4076 Å, b = 8.4076 Å, c = 5.6917 Å
α = 90.00°, β = 90.00°, γ = 141.48°
Fractional positions:
Cs 0.2500 0.7500 0.7712
Cs 0.7500 0.2500 0.2288
Mn 0.2500 0.2500 0.5000
Mn 0.7500 0.7500 0.5000
Cu 0.0000 0.0000 0.0000
Cu 0.5000 0.5000 0.0000
As 0.0997 0.9003 0.3052
As 0.4003 0.5997 0.3052
As 0.5997 0.4003 0.6948
As 0.9003 0.0997 0.6948

~~~~~

(1)
Structure and calculated XRD peak list of MgMn4Cr2O12 (the GGA+U geometry in the Materials Project; λ = 1.5418 Å (Cu Kα)).
Kinematic intensities with the Lorentz-polarization factor, no thermal factor.

Peak list (10 most intense, 2θ = 10–90°, by angle)
hkl	d [Å]	2theta	I/Imax
0 0 2	5.072	17.49	100
3 1 -1	2.480	36.22	11
3 1 1	2.470	36.37	17
0 2 2	2.273	39.65	18
3 1 -3	2.046	44.28	16
3 1 3	2.029	44.67	13
0 2 4	1.796	50.84	12
3 1 5	1.582	58.34	9
3 3 -1	1.456	63.94	8
3 3 1	1.454	64.04	7

```
data_MgMn4Cr2O12
_chemical_formula_sum 'Mg2 Mn8 Cr4 O24'
_cell_length_a 8.8526
_cell_length_b 5.0868
_cell_length_c 10.1443
_cell_angle_alpha 90.00
_cell_angle_beta 90.57
_cell_angle_gamma 90.00
_symmetry_space_group_name_H-M 'C 1 2 1'
_symmetry_Int_Tables_number 5
loop_
_symmetry_equiv_pos_as_xyz
'x,y,z'
'-x,y,-z'
'x+1/2,y+1/2,z'
'-x+1/2,y+1/2,-z'
loop_
_atom_site_label
_atom_site_type_symbol
_atom_site_fract_x
_atom_site_fract_y
_atom_site_fract_z
_atom_site_occupancy
Mg1 Mg 0.0000 0.0000 0.0000 1
Mn1 Mn 0.0840 0.4152 0.2508 1
Mn2 Mn 0.0858 0.9132 0.7369 1
Cr1 Cr 0.2501 0.4166 0.7477 1
O1 O 0.0731 0.7597 0.1501 1
O2 O 0.0773 0.5803 0.6525 1
O3 O 0.0780 0.2319 0.8504 1
O4 O 0.0819 0.0915 0.3483 1
O5 O 0.2469 0.5758 0.3480 1
O6 O 0.2504 0.2597 0.1540 1
```

(2)
Structure and calculated XRD peak list of MgMn5CrP6O24 (the GGA+U geometry in the Materials Project; λ = 1.5418 Å (Cu Kα)).